# Given
~~~
Cd2InAu8 after structural relaxation. Source: Alexandria via LeMat-Bulk, functional GGA-PBE.

The structure in POSCAR format:
```
Cd2InAu8
1.0
4.968 0.144 -1.199
-0.728 5.267 -2.461
0.291 0.299 8.071
Au Cd In
8 2 1
Cartesian
5.049 1.792 6.236
3.273 4.983 -0.547
3.634 2.396 0.678
1.343 1.027 1.981
3.187 4.683 2.432
-0.518 3.918 -1.824
1.257 0.727 4.959
0.896 3.314 3.734
3.519 2.083 3.749
1.011 3.627 0.663
2.484 0.072 -0.599
```

Uncorrected energy ... -32.0 eV for the cell shown
Magnetic moment ... 0.00 Bohr magnetons per cell
Calculated formation energy ... -2.6 kcal/mol of atoms
Polymorph energy (0 for the lowest one) ... 0 meV per atom
Crystal system ... triclinic

***

Cd2InAu2 after structural relaxation. Source: Alexandria via LeMat-Bulk, functional GGA-PBE.

The structure in POSCAR format:
```
Cd2InAu2
1.0
-4.750 3.927 -5.827
4.651 -3.515 -6.161
-1.868 -2.357 -0.065
Au Cd In
4 4 2
Cartesian
-1.707 -0.483 -3.003
1.374 -2.866 -5.155
-3.342 0.921 -6.897
-0.260 -1.462 -9.050
-2.388 2.016 -4.440
1.128 -0.810 -3.038
-1.228 1.222 -8.950
2.288 -1.604 -7.548
0.000 0.000 0.000
-0.050 0.206 -5.994
```

Uncorrected energy ... -23.3 eV for the cell shown
Magnetic moment ... 0.00 Bohr magnetons per cell
Calculated formation energy ... -2.5 kcal/mol of atoms
Polymorph energy (0 for the lowest one) ... 75 meV per atom
Crystal system ... tetragonal

***

Cd4InAu2 after structural relaxation. Source: Alexandria via LeMat-Bulk, functional GGA-PBE.

The structure in POSCAR format:
```
Cd4InAu2
1.0
4.561 0.000 0.000
2.280 3.950 0.000
2.280 1.317 9.622
Au In Cd
2 1 4
Cartesian
2.280 1.317 6.804
6.841 3.950 2.817
0.000 0.000 0.000
4.561 2.633 7.893
6.841 3.950 5.693
2.280 1.317 3.929
4.561 2.633 1.729
```

Uncorrected energy ... -13.6 eV for the cell shown
Magnetic moment ... 0.00 Bohr magnetons per cell
Calculated formation energy ... -2.2 kcal/mol of atoms
Crystal system ... trigonal

***

CdInAu2 after structural relaxation. Source: Alexandria via LeMat-Bulk, functional GGA-PBE.

The structure in POSCAR format:
```
CdInAu2
1.0
4.547 -0.065 0.060
2.994 3.422 0.060
1.397 0.622 5.643
Au Cd In
2 1 1
Cartesian
8.930 3.976 5.757
4.477 1.993 2.887
6.703 2.985 4.322
2.234 0.995 1.441
```

Uncorrected energy ... -10.6 eV for the cell shown
Magnetic moment ... 0.00 Bohr magnetons per cell
Calculated formation energy ... -2.4 kcal/mol of atoms
Crystal system ... monoclinic

***

Cd2In2Au after structural relaxation. Source: Alexandria via LeMat-Bulk, functional GGA-PBE.

The structure in POSCAR format:
```
Cd2In2Au
1.0
-1.122 3.208 -2.053
-3.788 -1.160 0.258
-3.263 5.221 6.100
In Au Cd
2 1 2
Cartesian
-5.573 5.487 3.939
-2.601 1.781 0.365
0.000 0.000 0.000
-4.753 2.542 2.730
-3.420 4.726 1.574
```

Uncorrected energy ... -10.0 eV for the cell shown
Magnetic moment ... 0.00 Bohr magnetons per cell
Calculated formation energy ... 2.6 kcal/mol of atoms
Polymorph energy (0 for the lowest one) ... 93 meV per atom
Crystal system ... tetragonal

***

Cd3InAu3 after structural relaxation. Source: Alexandria via LeMat-Bulk, functional GGA-PBE.

The structure in POSCAR format:
```
Cd3InAu3
1.0
-7.136 -1.247 -2.541
0.407 -7.272 2.427
-2.801 2.121 6.826
Cd In Au
6 2 6
Cartesian
-0.497 -3.106 2.920
-6.753 0.125 1.507
-3.466 -2.442 -0.664
-3.185 0.749 2.778
-1.898 -2.045 6.333
-3.263 -6.078 0.550
0.000 0.000 0.000
-4.765 -3.199 3.356
-5.669 0.967 3.849
-5.149 -4.571 -0.692
-4.268 -0.093 0.436
-1.096 -4.393 5.233
-1.299 -0.757 4.020
-1.581 -3.948 0.578
```

Uncorrected energy ... -27.2 eV for the cell shown
Magnetic moment ... 0.00 Bohr magnetons per cell
Calculated formation energy ... 5.7 kcal/mol of atoms
Polymorph energy (0 for the lowest one) ... 387 meV per atom
Crystal system ... cubic

***

Cd2InAu after structural relaxation. Source: Alexandria via LeMat-Bulk, functional GGA-PBE.

The structure in POSCAR format:
```
Cd2InAu
1.0
-0.602 3.615 -4.046
-4.000 -1.550 -3.375
0.242 0.545 5.426
Cd In Au
2 1 1
Cartesian
-2.301 1.032 -3.710
0.000 0.000 0.000
~~~
# Assignment
It remains to retype all of the data further above without additions.
# Completed
Cd2InAu8 after structural relaxation. Source: Alexandria via LeMat-Bulk, functional GGA-PBE.

The structure in POSCAR format:
```
Cd2InAu8
1.0
4.968 0.144 -1.199
-0.728 5.267 -2.461
0.291 0.299 8.071
Au Cd In
8 2 1
Cartesian
5.049 1.792 6.236
3.273 4.983 -0.547
3.634 2.396 0.678
1.343 1.027 1.981
3.187 4.683 2.432
-0.518 3.918 -1.824
1.257 0.727 4.959
0.896 3.314 3.734
3.519 2.083 3.749
1.011 3.627 0.663
2.484 0.072 -0.599
```

Uncorrected energy ... -32.0 eV for the cell shown
Magnetic moment ... 0.00 Bohr magnetons per cell
Calculated formation energy ... -2.6 kcal/mol of atoms
Polymorph energy (0 for the lowest one) ... 0 meV per atom
Crystal system ... triclinic

***

Cd2InAu2 after structural relaxation. Source: Alexandria via LeMat-Bulk, functional GGA-PBE.

The structure in POSCAR format:
```
Cd2InAu2
1.0
-4.750 3.927 -5.827
4.651 -3.515 -6.161
-1.868 -2.357 -0.065
Au Cd In
4 4 2
Cartesian
-1.707 -0.483 -3.003
1.374 -2.866 -5.155
-3.342 0.921 -6.897
-0.260 -1.462 -9.050
-2.388 2.016 -4.440
1.128 -0.810 -3.038
-1.228 1.222 -8.950
2.288 -1.604 -7.548
0.000 0.000 0.000
-0.050 0.206 -5.994
```

Uncorrected energy ... -23.3 eV for the cell shown
Magnetic moment ... 0.00 Bohr magnetons per cell
Calculated formation energy ... -2.5 kcal/mol of atoms
Polymorph energy (0 for the lowest one) ... 75 meV per atom
Crystal system ... tetragonal

***

Cd4InAu2 after structural relaxation. Source: Alexandria via LeMat-Bulk, functional GGA-PBE.

The structure in POSCAR format:
```
Cd4InAu2
1.0
4.561 0.000 0.000
2.280 3.950 0.000
2.280 1.317 9.622
Au In Cd
2 1 4
Cartesian
2.280 1.317 6.804
6.841 3.950 2.817
0.000 0.000 0.000
4.561 2.633 7.893
6.841 3.950 5.693
2.280 1.317 3.929
4.561 2.633 1.729
```

Uncorrected energy ... -13.6 eV for the cell shown
Magnetic moment ... 0.00 Bohr magnetons per cell
Calculated formation energy ... -2.2 kcal/mol of atoms
Crystal system ... trigonal

***

CdInAu2 after structural relaxation. Source: Alexandria via LeMat-Bulk, functional GGA-PBE.

The structure in POSCAR format:
```
CdInAu2
1.0
4.547 -0.065 0.060
2.994 3.422 0.060
1.397 0.622 5.643
Au Cd In
2 1 1
Cartesian
8.930 3.976 5.757
4.477 1.993 2.887
6.703 2.985 4.322
2.234 0.995 1.441
```

Uncorrected energy ... -10.6 eV for the cell shown
Magnetic moment ... 0.00 Bohr magnetons per cell
Calculated formation energy ... -2.4 kcal/mol of atoms
Crystal system ... monoclinic

***

Cd2In2Au after structural relaxation. Source: Alexandria via LeMat-Bulk, functional GGA-PBE.

The structure in POSCAR format:
```
Cd2In2Au
1.0
-1.122 3.208 -2.053
-3.788 -1.160 0.258
-3.263 5.221 6.100
In Au Cd
2 1 2
Cartesian
-5.573 5.487 3.939
-2.601 1.781 0.365
0.000 0.000 0.000
-4.753 2.542 2.730
-3.420 4.726 1.574
```

Uncorrected energy ... -10.0 eV for the cell shown
Magnetic moment ... 0.00 Bohr magnetons per cell
Calculated formation energy ... 2.6 kcal/mol of atoms
Polymorph energy (0 for the lowest one) ... 93 meV per atom
Crystal system ... tetragonal

***

Cd3InAu3 after structural relaxation. Source: Alexandria via LeMat-Bulk, functional GGA-PBE.

The structure in POSCAR format:
```
Cd3InAu3
1.0
-7.136 -1.247 -2.541
0.407 -7.272 2.427
-2.801 2.121 6.826
Cd In Au
6 2 6
Cartesian
-0.497 -3.106 2.920
-6.753 0.125 1.507
-3.466 -2.442 -0.664
-3.185 0.749 2.778
-1.898 -2.045 6.333
-3.263 -6.078 0.550
0.000 0.000 0.000
-4.765 -3.199 3.356
-5.669 0.967 3.849
-5.149 -4.571 -0.692
-4.268 -0.093 0.436
-1.096 -4.393 5.233
-1.299 -0.757 4.020
-1.581 -3.948 0.578
```

Uncorrected energy ... -27.2 eV for the cell shown
Magnetic moment ... 0.00 Bohr magnetons per cell
Calculated formation energy ... 5.7 kcal/mol of atoms
Polymorph energy (0 for the lowest one) ... 387 meV per atom
Crystal system ... cubic

***

Cd2InAu after structural relaxation. Source: Alexandria via LeMat-Bulk, functional GGA-PBE.

The structure in POSCAR format:
```
Cd2InAu
1.0
-0.602 3.615 -4.046
-4.000 -1.550 -3.375
0.242 0.545 5.426
Cd In Au
2 1 1
Cartesian
-2.301 1.032 -3.710
0.000 0.000 0.000